File >
┌──
1.
The following is a simulated powder diffractogram of Pr3TmMg3. It was derived from a PBE-relaxed structure, using CuKα.

Structure:
```
data_Pr3TmMg3
_chemical_formula_sum 'Pr12 Tm4 Mg12'
_space_group_name_H-M_alt 'C 1 2/m 1'
_space_group_IT_number 12
_space_group_name_Hall '-C 2y'
_cell_length_a 7.456
_cell_length_b 10.831
_cell_length_c 10.756
_cell_angle_alpha 90.00
_cell_angle_beta 90.02
_cell_angle_gamma 90.00
loop_
_atom_site_label
_atom_site_type_symbol
_atom_site_fract_x
_atom_site_fract_y
_atom_site_fract_z
_atom_site_occupancy
Pr1 Pr 0.000 0.174 0.000 1
Pr2 Pr 0.000 0.223 0.500 1
Pr3 Pr 0.001 0.500 0.823 1
Tm1 Tm 0.214 0.500 0.500 1
Mg1 Mg 0.000 0.000 0.263 1
Mg2 Mg 0.250 0.250 0.253 1
```

Most intense lines, 2θ from 5° to 70°, by angle:
| 2θ (°) | I (rel.) | h k l |
| --- | --- | --- |
| 8.22 | 26 | 0 0 1 |
| 16.48 | 41 | 0 0 2 |
| 27.45 | 39 | 1 3 0 |
| 28.83 | 27 | 1 1 3 |
| 30.27 | 32 | 2 2 1 |
| 33.08 | 19 | 0 4 0 |
| 33.32 | 22 | 0 0 4 |
| 33.61 | 100 | 2 2 -2 |
| 41.80 | 20 | 0 4 3 |
| 44.80 | 17 | 2 2 4 |

2.
The following is a simulated powder diffractogram of RhSe2I. It was derived from a PBE-relaxed structure, using CuKα.

Structure:
```
data_RhSe2I
_chemical_formula_sum 'Rh2 Se4 I2'
_space_group_name_H-M_alt 'P 1'
_space_group_IT_number 1
_space_group_name_Hall 'P 1'
_cell_length_a 3.823
_cell_length_b 6.941
_cell_length_c 9.021
_cell_angle_alpha 86.44
_cell_angle_beta 89.20
_cell_angle_gamma 75.01
loop_
_atom_site_label
_atom_site_type_symbol
_atom_site_fract_x
_atom_site_fract_y
_atom_site_fract_z
_atom_site_occupancy
Rh1 Rh 0.000 0.000 0.000 1
Rh2 Rh 0.370 0.227 0.298 1
Se1 Se 0.151 0.308 0.549 1
Se2 Se 0.392 0.236 0.024 1
Se3 Se 0.752 0.468 0.343 1
Se4 Se 0.985 0.986 0.272 1
I1 I 0.638 0.706 0.991 1
I2 I 0.943 0.007 0.699 1
```

Most intense lines, 2θ from 5° to 70°, by angle:
| 2θ (°) | I (rel.) | h k l |
| --- | --- | --- |
| 9.82 | 74 | 0 0 1 |
| 13.23 | 100 | 0 1 0 |
| 16.02 | 58 | 0 1 1 |
| 16.98 | 40 | 0 1 -1 |
| 29.77 | 74 | 0 0 3 |
| 30.52 | 69 | 1 -1 0 |
| 31.08 | 83 | 1 2 0 |
| 31.88 | 40 | -1 1 1 |
| 41.54 | 36 | 1 3 0 |
| 50.20 | 38 | 1 2 4 |

3.
The following is a simulated powder diffractogram of Nd3BiSeN. It was derived from a PBE-relaxed structure, using CuKα.

Structure:
```
data_Nd3BiSeN
_chemical_formula_sum 'Nd6 Bi2 Se2 N2'
_space_group_name_H-M_alt 'P 1 21/m 1'
_space_group_IT_number 11
_space_group_name_Hall '-P 2yb'
_cell_length_a 9.021
_cell_length_b 4.280
_cell_length_c 9.520
_cell_angle_alpha 90.00
_cell_angle_beta 100.62
_cell_angle_gamma 90.00
loop_
_atom_site_label
_atom_site_type_symbol
_atom_site_fract_x
_atom_site_fract_y
_atom_site_fract_z
_atom_site_occupancy
Nd1 Nd 0.085 0.250 0.348 1
Nd2 Nd 0.343 0.250 0.986 1
Nd3 Nd 0.393 0.750 0.661 1
Bi1 Bi 0.324 0.750 0.285 1
Se1 Se 0.151 0.250 0.661 1
N1 N 0.409 0.750 0.900 1
```

Most intense lines, 2θ from 5° to 70°, by angle:
| 2θ (°) | I (rel.) | h k l |
| --- | --- | --- |
| 9.98 | 28 | 1 0 0 |
| 14.98 | 28 | 1 0 1 |
| 28.61 | 72 | 0 0 3 |
| 28.81 | 24 | 1 1 -2 |
| 29.00 | 46 | 2 1 0 |
| 29.35 | 100 | 2 1 -1 |
| 36.94 | 53 | 2 1 2 |
| 42.23 | 30 | 0 2 0 |
| 45.59 | 21 | 2 1 -4 |
| 51.80 | 28 | 0 2 3 |
└──
Job >
Please quote the lines above word for word.
Written answer >
1.
The following is a simulated powder diffractogram of Pr3TmMg3. It was derived from a PBE-relaxed structure, using CuKα.

Structure:
```
data_Pr3TmMg3
_chemical_formula_sum 'Pr12 Tm4 Mg12'
_space_group_name_H-M_alt 'C 1 2/m 1'
_space_group_IT_number 12
_space_group_name_Hall '-C 2y'
_cell_length_a 7.456
_cell_length_b 10.831
_cell_length_c 10.756
_cell_angle_alpha 90.00
_cell_angle_beta 90.02
_cell_angle_gamma 90.00
loop_
_atom_site_label
_atom_site_type_symbol
_atom_site_fract_x
_atom_site_fract_y
_atom_site_fract_z
_atom_site_occupancy
Pr1 Pr 0.000 0.174 0.000 1
Pr2 Pr 0.000 0.223 0.500 1
Pr3 Pr 0.001 0.500 0.823 1
Tm1 Tm 0.214 0.500 0.500 1
Mg1 Mg 0.000 0.000 0.263 1
Mg2 Mg 0.250 0.250 0.253 1
```

Most intense lines, 2θ from 5° to 70°, by angle:
| 2θ (°) | I (rel.) | h k l |
| --- | --- | --- |
| 8.22 | 26 | 0 0 1 |
| 16.48 | 41 | 0 0 2 |
| 27.45 | 39 | 1 3 0 |
| 28.83 | 27 | 1 1 3 |
| 30.27 | 32 | 2 2 1 |
| 33.08 | 19 | 0 4 0 |
| 33.32 | 22 | 0 0 4 |
| 33.61 | 100 | 2 2 -2 |
| 41.80 | 20 | 0 4 3 |
| 44.80 | 17 | 2 2 4 |

2.
The following is a simulated powder diffractogram of RhSe2I. It was derived from a PBE-relaxed structure, using CuKα.

Structure:
```
data_RhSe2I
_chemical_formula_sum 'Rh2 Se4 I2'
_space_group_name_H-M_alt 'P 1'
_space_group_IT_number 1
_space_group_name_Hall 'P 1'
_cell_length_a 3.823
_cell_length_b 6.941
_cell_length_c 9.021
_cell_angle_alpha 86.44
_cell_angle_beta 89.20
_cell_angle_gamma 75.01
loop_
_atom_site_label
_atom_site_type_symbol
_atom_site_fract_x
_atom_site_fract_y
_atom_site_fract_z
_atom_site_occupancy
Rh1 Rh 0.000 0.000 0.000 1
Rh2 Rh 0.370 0.227 0.298 1
Se1 Se 0.151 0.308 0.549 1
Se2 Se 0.392 0.236 0.024 1
Se3 Se 0.752 0.468 0.343 1
Se4 Se 0.985 0.986 0.272 1
I1 I 0.638 0.706 0.991 1
I2 I 0.943 0.007 0.699 1
```

Most intense lines, 2θ from 5° to 70°, by angle:
| 2θ (°) | I (rel.) | h k l |
| --- | --- | --- |
| 9.82 | 74 | 0 0 1 |
| 13.23 | 100 | 0 1 0 |
| 16.02 | 58 | 0 1 1 |
| 16.98 | 40 | 0 1 -1 |
| 29.77 | 74 | 0 0 3 |
| 30.52 | 69 | 1 -1 0 |
| 31.08 | 83 | 1 2 0 |
| 31.88 | 40 | -1 1 1 |
| 41.54 | 36 | 1 3 0 |
| 50.20 | 38 | 1 2 4 |

3.
The following is a simulated powder diffractogram of Nd3BiSeN. It was derived from a PBE-relaxed structure, using CuKα.

Structure:
```
data_Nd3BiSeN
_chemical_formula_sum 'Nd6 Bi2 Se2 N2'
_space_group_name_H-M_alt 'P 1 21/m 1'
_space_group_IT_number 11
_space_group_name_Hall '-P 2yb'
_cell_length_a 9.021
_cell_length_b 4.280
_cell_length_c 9.520
_cell_angle_alpha 90.00
_cell_angle_beta 100.62
_cell_angle_gamma 90.00
loop_
_atom_site_label
_atom_site_type_symbol
_atom_site_fract_x
_atom_site_fract_y
_atom_site_fract_z
_atom_site_occupancy
Nd1 Nd 0.085 0.250 0.348 1
Nd2 Nd 0.343 0.250 0.986 1
Nd3 Nd 0.393 0.750 0.661 1
Bi1 Bi 0.324 0.750 0.285 1
Se1 Se 0.151 0.250 0.661 1
N1 N 0.409 0.750 0.900 1
```

Most intense lines, 2θ from 5° to 70°, by angle:
| 2θ (°) | I (rel.) | h k l |
| --- | --- | --- |
| 9.98 | 28 | 1 0 0 |
| 14.98 | 28 | 1 0 1 |
| 28.61 | 72 | 0 0 3 |
| 28.81 | 24 | 1 1 -2 |
| 29.00 | 46 | 2 1 0 |
| 29.35 | 100 | 2 1 -1 |
| 36.94 | 53 | 2 1 2 |
| 42.23 | 30 | 0 2 0 |
| 45.59 | 21 | 2 1 -4 |
| 51.80 | 28 | 0 2 3 |